Please print everything underneath word for word.

********
Calculated powder X-ray diffraction pattern of Rb2Cd12Au7 for Cu Ka, from the GGA-PBE geometry in Alexandria.
Peak positions follow from Bragg's law for the DFT cell and can differ from measured ones.

Principal peaks in the range 5° ≤ 2θ ≤ 70°, in order of rising 2θ:
- 2θ 24.10, rel. 318, (2 1 0)
- 2θ 31.08, rel. 1000, (2 1 1)
- 2θ 37.42, rel. 496, (2 2 1)
- 2θ 38.58, rel. 910, (1 3 1)
- 2θ 39.26, rel. 530, (0 0 2)
- 2θ 45.01, rel. 284, (3 2 1)

Cell lengths 11.2824, 11.2824, 4.5894 Å; angles 90.00, 90.00, 120.00 degrees
Space group P-6 (No. 174)
One atom of each set of equivalent atoms:
1 Rb 0.0000 0.0000 0.0000 (multiplicity 1)
2 Rb 0.3333 0.6667 0.5000 (multiplicity 1)
3 Cd 0.0288 0.2861 0.5000 (multiplicity 3)
4 Cd 0.1340 0.7432 0.0000 (multiplicity 3)
5 Cd 0.3793 0.1943 0.0000 (multiplicity 3)
6 Cd 0.5528 0.4226 0.5000 (multiplicity 3)
7 Au 0.0413 0.4576 0.0000 (multiplicity 3)
8 Au 0.2532 0.2341 0.5000 (multiplicity 3)
9 Au 0.6667 0.3333 0.0000 (multiplicity 1)



Calculated powder X-ray diffraction pattern of Pr4YEr8 for Cu Ka, from the GGA-PBE geometry in Alexandria.
Peak positions follow from Bragg's law for the DFT cell and can differ from measured ones.

Principal peaks in the range 5° ≤ 2θ ≤ 70°, in order of rising 2θ:
- 2θ 19.69, rel. 137, (1 1 1)
- 2θ 22.78, rel. 133, (2 0 0)
- 2θ 32.43, rel. 1000, (2 2 0)
- 2θ 46.52, rel. 180, (4 0 0)
- 2θ 57.85, rel. 369, (4 2 2)
- 2θ 67.91, rel. 111, (4 4 0)

Cell lengths 7.808, 7.808, 7.808 Å; angles 90.00, 90.00, 90.00 degrees
Space group Pm-3m (No. 221)
One atom of each set of equivalent atoms:
1 Pr 0.000 0.000 0.000 (multiplicity 1)
2 Pr 0.000 0.500 0.500 (multiplicity 3)
3 Y 0.500 0.500 0.500 (multiplicity 1)
4 Er 0.240 0.240 0.240 (multiplicity 8)


Starting from a crystal structure in Alexandria, relaxed with PBE, the XRD peak list of SrLaOsN2 was computed for λ = 1.5418 Å (Cu Kα).
Neutral-atom scattering factors, no anomalous dispersion.

Principal peaks in the range 10° ≤ 2θ ≤ 80°, low angle first:
15.2°, 5.821 Å, intensity 18; 17.0°, 5.218 Å, intensity 47; 28.6°, 3.124 Å, intensity 24; 30.7°, 2.911 Å, intensity 27; 33.4°, 2.680 Å, intensity 100; 34.4°, 2.609 Å, intensity 21; 45.3°, 2.003 Å, intensity 14; 46.8°, 1.943 Å, intensity 23; 56.4°, 1.632 Å, intensity 23; 61.0°, 1.520 Å, intensity 18

Cell and atoms:
```
data_SrLaOsN2
_chemical_formula_sum 'Sr2 La2 Os2 N4'
_cell_length_a 5.218
_cell_length_b 5.821
_cell_length_c 7.404
_cell_angle_alpha 90.00
_cell_angle_beta 90.00
_cell_angle_gamma 90.00
_symmetry_space_group_name_H-M 'P 1'
_symmetry_Int_Tables_number 1
loop_
_symmetry_equiv_pos_as_xyz
'x,y,z'
loop_
_atom_site_label
_atom_site_fract_x
_atom_site_fract_y
_atom_site_fract_z
Sr1 0.000 0.000 0.250
Sr2 0.000 0.000 0.750
La1 0.500 0.500 0.250
La2 0.500 0.500 0.750
Os1 0.500 0.000 0.000
Os2 0.500 0.000 0.500
N1 0.310 0.270 0.000
N2 0.310 0.730 0.500
N3 0.690 0.270 0.500
N4 0.690 0.730 0.000
```

Starting from a crystal structure in Alexandria, relaxed with PBE, the XRD peak list of La8P2N3 was computed for λ = 1.5418 Å (Cu Kα).
Neutral-atom scattering factors, no anomalous dispersion.

Principal peaks in the range 10° ≤ 2θ ≤ 80°, low angle first:
12.9°, 6.847 Å, intensity 33; 26.0°, 3.424 Å, intensity 59; 27.3°, 3.269 Å, intensity 48; 27.5°, 3.239 Å, intensity 100; 32.2°, 2.781 Å, intensity 69; 32.6°, 2.749 Å, intensity 33; 34.0°, 2.634 Å, intensity 59; 35.4°, 2.537 Å, intensity 99; 47.6°, 1.911 Å, intensity 44; 52.2°, 1.754 Å, intensity 30

Cell and atoms:
```
data_La8P2N3
_chemical_formula_sum 'La8 P2 N3'
_cell_length_a 8.054
_cell_length_b 8.054
_cell_length_c 6.666
_cell_angle_alpha 104.19
_cell_angle_beta 104.19
_cell_angle_gamma 55.56
_symmetry_space_group_name_H-M 'P 1'
_symmetry_Int_Tables_number 1
loop_
_symmetry_equiv_pos_as_xyz
'x,y,z'
loop_
_atom_site_label
_atom_site_fract_x
_atom_site_fract_y
_atom_site_fract_z
La1 0.100 0.100 0.423
La2 0.153 0.636 0.107
La3 0.364 0.847 0.893
La4 0.397 0.397 0.603
La5 0.603 0.603 0.397
La6 0.636 0.153 0.107
********

Calculated powder X-ray diffraction pattern of Rb2Cd12Au7 for Cu Ka, from the GGA-PBE geometry in Alexandria.
Peak positions follow from Bragg's law for the DFT cell and can differ from measured ones.

Principal peaks in the range 5° ≤ 2θ ≤ 70°, in order of rising 2θ:
- 2θ 24.10, rel. 318, (2 1 0)
- 2θ 31.08, rel. 1000, (2 1 1)
- 2θ 37.42, rel. 496, (2 2 1)
- 2θ 38.58, rel. 910, (1 3 1)
- 2θ 39.26, rel. 530, (0 0 2)
- 2θ 45.01, rel. 284, (3 2 1)

Cell lengths 11.2824, 11.2824, 4.5894 Å; angles 90.00, 90.00, 120.00 degrees
Space group P-6 (No. 174)
One atom of each set of equivalent atoms:
1 Rb 0.0000 0.0000 0.0000 (multiplicity 1)
2 Rb 0.3333 0.6667 0.5000 (multiplicity 1)
3 Cd 0.0288 0.2861 0.5000 (multiplicity 3)
4 Cd 0.1340 0.7432 0.0000 (multiplicity 3)
5 Cd 0.3793 0.1943 0.0000 (multiplicity 3)
6 Cd 0.5528 0.4226 0.5000 (multiplicity 3)
7 Au 0.0413 0.4576 0.0000 (multiplicity 3)
8 Au 0.2532 0.2341 0.5000 (multiplicity 3)
9 Au 0.6667 0.3333 0.0000 (multiplicity 1)



Calculated powder X-ray diffraction pattern of Pr4YEr8 for Cu Ka, from the GGA-PBE geometry in Alexandria.
Peak positions follow from Bragg's law for the DFT cell and can differ from measured ones.

Principal peaks in the range 5° ≤ 2θ ≤ 70°, in order of rising 2θ:
- 2θ 19.69, rel. 137, (1 1 1)
- 2θ 22.78, rel. 133, (2 0 0)
- 2θ 32.43, rel. 1000, (2 2 0)
- 2θ 46.52, rel. 180, (4 0 0)
- 2θ 57.85, rel. 369, (4 2 2)
- 2θ 67.91, rel. 111, (4 4 0)

Cell lengths 7.808, 7.808, 7.808 Å; angles 90.00, 90.00, 90.00 degrees
Space group Pm-3m (No. 221)
One atom of each set of equivalent atoms:
1 Pr 0.000 0.000 0.000 (multiplicity 1)
2 Pr 0.000 0.500 0.500 (multiplicity 3)
3 Y 0.500 0.500 0.500 (multiplicity 1)
4 Er 0.240 0.240 0.240 (multiplicity 8)


Starting from a crystal structure in Alexandria, relaxed with PBE, the XRD peak list of SrLaOsN2 was computed for λ = 1.5418 Å (Cu Kα).
Neutral-atom scattering factors, no anomalous dispersion.

Principal peaks in the range 10° ≤ 2θ ≤ 80°, low angle first:
15.2°, 5.821 Å, intensity 18; 17.0°, 5.218 Å, intensity 47; 28.6°, 3.124 Å, intensity 24; 30.7°, 2.911 Å, intensity 27; 33.4°, 2.680 Å, intensity 100; 34.4°, 2.609 Å, intensity 21; 45.3°, 2.003 Å, intensity 14; 46.8°, 1.943 Å, intensity 23; 56.4°, 1.632 Å, intensity 23; 61.0°, 1.520 Å, intensity 18

Cell and atoms:
```
data_SrLaOsN2
_chemical_formula_sum 'Sr2 La2 Os2 N4'
_cell_length_a 5.218
_cell_length_b 5.821
_cell_length_c 7.404
_cell_angle_alpha 90.00
_cell_angle_beta 90.00
_cell_angle_gamma 90.00
_symmetry_space_group_name_H-M 'P 1'
_symmetry_Int_Tables_number 1
loop_
_symmetry_equiv_pos_as_xyz
'x,y,z'
loop_
_atom_site_label
_atom_site_fract_x
_atom_site_fract_y
_atom_site_fract_z
Sr1 0.000 0.000 0.250
Sr2 0.000 0.000 0.750
La1 0.500 0.500 0.250
La2 0.500 0.500 0.750
Os1 0.500 0.000 0.000
Os2 0.500 0.000 0.500
N1 0.310 0.270 0.000
N2 0.310 0.730 0.500
N3 0.690 0.270 0.500
N4 0.690 0.730 0.000
```

Starting from a crystal structure in Alexandria, relaxed with PBE, the XRD peak list of La8P2N3 was computed for λ = 1.5418 Å (Cu Kα).
Neutral-atom scattering factors, no anomalous dispersion.

Principal peaks in the range 10° ≤ 2θ ≤ 80°, low angle first:
12.9°, 6.847 Å, intensity 33; 26.0°, 3.424 Å, intensity 59; 27.3°, 3.269 Å, intensity 48; 27.5°, 3.239 Å, intensity 100; 32.2°, 2.781 Å, intensity 69; 32.6°, 2.749 Å, intensity 33; 34.0°, 2.634 Å, intensity 59; 35.4°, 2.537 Å, intensity 99; 47.6°, 1.911 Å, intensity 44; 52.2°, 1.754 Å, intensity 30

Cell and atoms:
```
data_La8P2N3
_chemical_formula_sum 'La8 P2 N3'
_cell_length_a 8.054
_cell_length_b 8.054
_cell_length_c 6.666
_cell_angle_alpha 104.19
_cell_angle_beta 104.19
_cell_angle_gamma 55.56
_symmetry_space_group_name_H-M 'P 1'
_symmetry_Int_Tables_number 1
loop_
_symmetry_equiv_pos_as_xyz
'x,y,z'
loop_
_atom_site_label
_atom_site_fract_x
_atom_site_fract_y
_atom_site_fract_z
La1 0.100 0.100 0.423
La2 0.153 0.636 0.107
La3 0.364 0.847 0.893
La4 0.397 0.397 0.603
La5 0.603 0.603 0.397
La6 0.636 0.153 0.107